_Request_
Type out only the last part of the block underneath, starting with the line that has "30.51, 100.0,".
_Input_
<<<
Starting from a cell relaxed with GGA-PBE, the X-ray diffraction stick pattern of Dy4C2F was computed for Cu Kα X-rays.
Neutral-atom scattering factors, no anomalous dispersion.

Principal peaks in the range 2θ = 15–90°, in order of falling intensity:
2θ/deg, I_rel, hkl
30.51, 100.0, 1 1 -1
35.03, 86.3, 1 1 1
30.26, 50.4, 2 0 0
50.84, 46.9, 0 2 0
29.97, 46.5, 0 0 2
35.35, 42.9, 2 0 -2
50.44, 26.5, 1 1 -3
60.49, 21.2, 4 0 -2
63.50, 15.3, 2 2 -2
60.37, 14.8, 2 2 0
60.20, 13.5, 0 2 2
59.76, 13.3, 3 1 1

Cell and atoms:
```
Dy4C2F
1.0
6.2288 0.0000 0.0000
0.0000 3.5880 0.0000
-1.9915 0.0000 5.9636
Dy C F
4 2 1
direct
0.2366 0.0000 0.2221
0.2597 0.5000 0.7767
0.7403 0.5000 0.2233
0.7634 0.0000 0.7779
0.0000 0.5000 0.0000
0.5000 0.0000 0.0000
0.5000 0.5000 0.5000
```

=====

Starting from a cell relaxed with GGA-PBE, the X-ray diffraction stick pattern of Sc12Tl3Cd was computed for Cu Kα X-rays.
Neutral-atom scattering factors, no anomalous dispersion.

Principal peaks in the range 2θ = 15–90°, in order of falling intensity:
2θ/deg, I_rel, hkl
34.33, 100.0, 1 1 4
19.62, 52.4, 1 0 0
39.85, 49.2, 2 0 0
27.89, 45.9, 1 1 0
68.82, 36.9, 3 1 4
57.62, 32.0, 2 2 0
44.79, 26.8, 2 1 0
49.34, 20.5, 2 1 4
61.48, 13.6, 3 0 0
79.22, 10.9, 3 2 4
72.35, 10.6, 2 2 8
65.21, 9.2, 3 1 0

Cell and atoms:
```
Sc12Tl3Cd
1.0
4.5236 0.0000 0.0000
0.0000 4.5236 0.0000
0.0000 0.0000 18.1055
Sc Tl Cd
12 3 1
direct
0.0000 0.0000 0.0000
0.0000 0.0000 0.2495
0.0000 0.0000 0.5000
0.0000 0.0000 0.7505
0.0000 0.5000 0.1239
0.0000 0.5000 0.3748
0.0000 0.5000 0.6252
0.0000 0.5000 0.8761
0.5000 0.0000 0.1239
0.5000 0.0000 0.3748
0.5000 0.0000 0.6252
0.5000 0.0000 0.8761
0.5000 0.5000 0.2491
0.5000 0.5000 0.5000
0.5000 0.5000 0.7509
0.5000 0.5000 0.0000
```

=====

Starting from a cell relaxed with GGA-PBE, the X-ray diffraction stick pattern of Li4I3Cl was computed for Cu Kα X-rays.
Neutral-atom scattering factors, no anomalous dispersion.

Principal peaks in the range 2θ = 15–90°, in order of falling intensity:
2θ/deg, I_rel, hkl
26.51, 100.0, 2 1 1
26.36, 52.2, 0 2 1
24.95, 42.5, 0 0 2
23.34, 28.4, 2 1 0
48.43, 26.5, 2 3 2
44.91, 26.3, 2 1 3
40.81, 24.3, 2 3 0
34.43, 18.6, 2 1 2
49.51, 17.9, 4 2 1
44.81, 15.2, 0 2 3
48.70, 13.2, 4 0 2
23.17, 13.1, 0 2 0

Cell and atoms:
```
Li4I3Cl
1.0
8.7806 0.0000 0.0000
0.0000 7.6770 0.0000
0.0000 0.0000 7.1379
Li I Cl
8 6 2
direct
0.0000 0.1282 0.0000
0.0000 0.8279 0.5532
0.2271 0.6809 0.9986
0.2729 0.3191 0.4986
0.5000 0.1721 0.0532
0.5000 0.8718 0.5000
0.7271 0.3191 0.4986
0.7729 0.6809 0.9986
0.0000 0.1564 0.3909
0.2487 0.3311 0.8899
0.2513 0.6689 0.3899
0.5000 0.8436 0.8909
0.7487 0.6689 0.3899
0.7513 0.3311 0.8899
0.0000 0.8298 0.8907
0.5000 0.1702 0.3907
```

=====

# Mg2BeMoO6
Theoretical powder diffraction line list, Cu Kα. Input: a structure optimized by DFT (PBE+U).
Kinematic intensities with the Lorentz-polarization factor, no thermal factor.

Crystal structure
```
data_Mg2BeMoO6
_symmetry_space_group_name_H-M 'P 4 m m'
_symmetry_Int_Tables_number 99
_symmetry_space_group_name_Hall 'P 4 -2'
_cell_length_a 4.962
_cell_length_b 4.962
_cell_length_c 4.698
_cell_angle_alpha 90.00
_cell_angle_beta 90.00
_cell_angle_gamma 90.00
loop_
_atom_site_label
_atom_site_type_symbol
_atom_site_fract_x
_atom_site_fract_y
_atom_site_fract_z
Mg1 Mg 0.000 0.500 0.000
Be1 Be 0.000 0.000 0.590
Mo1 Mo 0.500 0.500 0.619
O1 O 0.000 0.000 0.265
O2 O 0.246 0.246 0.755
O3 O 0.500 0.500 0.236
```

Top 10 peaks for 2θ = 10–90°, most intense first:
| Position (°2θ) | d [Å] | I (rel.) |
| --- | --- | --- |
| 31.83 | 2.811 | 100 |
| 17.88 | 4.962 | 92 |
| 26.12 | 3.412 | 72 |
| 18.89 | 4.698 | 62 |
| 25.38 | 3.509 | 39 |
| 52.13 | 1.754 | 39 |
| 45.19 | 2.007 | 34 |
| 36.20 | 2.481 | 29 |
| 46.52 | 1.952 | 29 |
| 62.39 | 1.488 | 28 |

=====

For ZrCrCuS4, a DFT-relaxed cell (PBE, the Materials Project) gives the theoretical X-ray powder pattern in this record (Cu Kα (λ = 1.5418 Å)).

Peak list (12 most intense, 10° ≤ 2θ ≤ 90°, low angle first)
>>>
_Response_
30.51, 100.0, 1 1 -1
35.03, 86.3, 1 1 1
30.26, 50.4, 2 0 0
50.84, 46.9, 0 2 0
29.97, 46.5, 0 0 2
35.35, 42.9, 2 0 -2
50.44, 26.5, 1 1 -3
60.49, 21.2, 4 0 -2
63.50, 15.3, 2 2 -2
60.37, 14.8, 2 2 0
60.20, 13.5, 0 2 2
59.76, 13.3, 3 1 1

Cell and atoms:
```
Dy4C2F
1.0
6.2288 0.0000 0.0000
0.0000 3.5880 0.0000
-1.9915 0.0000 5.9636
Dy C F
4 2 1
direct
0.2366 0.0000 0.2221
0.2597 0.5000 0.7767
0.7403 0.5000 0.2233
0.7634 0.0000 0.7779
0.0000 0.5000 0.0000
0.5000 0.0000 0.0000
0.5000 0.5000 0.5000
```

=====

Starting from a cell relaxed with GGA-PBE, the X-ray diffraction stick pattern of Sc12Tl3Cd was computed for Cu Kα X-rays.
Neutral-atom scattering factors, no anomalous dispersion.

Principal peaks in the range 2θ = 15–90°, in order of falling intensity:
2θ/deg, I_rel, hkl
34.33, 100.0, 1 1 4
19.62, 52.4, 1 0 0
39.85, 49.2, 2 0 0
27.89, 45.9, 1 1 0
68.82, 36.9, 3 1 4
57.62, 32.0, 2 2 0
44.79, 26.8, 2 1 0
49.34, 20.5, 2 1 4
61.48, 13.6, 3 0 0
79.22, 10.9, 3 2 4
72.35, 10.6, 2 2 8
65.21, 9.2, 3 1 0

Cell and atoms:
```
Sc12Tl3Cd
1.0
4.5236 0.0000 0.0000
0.0000 4.5236 0.0000
0.0000 0.0000 18.1055
Sc Tl Cd
12 3 1
direct
0.0000 0.0000 0.0000
0.0000 0.0000 0.2495
0.0000 0.0000 0.5000
0.0000 0.0000 0.7505
0.0000 0.5000 0.1239
0.0000 0.5000 0.3748
0.0000 0.5000 0.6252
0.0000 0.5000 0.8761
0.5000 0.0000 0.1239
0.5000 0.0000 0.3748
0.5000 0.0000 0.6252
0.5000 0.0000 0.8761
0.5000 0.5000 0.2491
0.5000 0.5000 0.5000
0.5000 0.5000 0.7509
0.5000 0.5000 0.0000
```

=====

Starting from a cell relaxed with GGA-PBE, the X-ray diffraction stick pattern of Li4I3Cl was computed for Cu Kα X-rays.
Neutral-atom scattering factors, no anomalous dispersion.

Principal peaks in the range 2θ = 15–90°, in order of falling intensity:
2θ/deg, I_rel, hkl
26.51, 100.0, 2 1 1
26.36, 52.2, 0 2 1
24.95, 42.5, 0 0 2
23.34, 28.4, 2 1 0
48.43, 26.5, 2 3 2
44.91, 26.3, 2 1 3
40.81, 24.3, 2 3 0
34.43, 18.6, 2 1 2
49.51, 17.9, 4 2 1
44.81, 15.2, 0 2 3
48.70, 13.2, 4 0 2
23.17, 13.1, 0 2 0

Cell and atoms:
```
Li4I3Cl
1.0
8.7806 0.0000 0.0000
0.0000 7.6770 0.0000
0.0000 0.0000 7.1379
Li I Cl
8 6 2
direct
0.0000 0.1282 0.0000
0.0000 0.8279 0.5532
0.2271 0.6809 0.9986
0.2729 0.3191 0.4986
0.5000 0.1721 0.0532
0.5000 0.8718 0.5000
0.7271 0.3191 0.4986
0.7729 0.6809 0.9986
0.0000 0.1564 0.3909
0.2487 0.3311 0.8899
0.2513 0.6689 0.3899
0.5000 0.8436 0.8909
0.7487 0.6689 0.3899
0.7513 0.3311 0.8899
0.0000 0.8298 0.8907
0.5000 0.1702 0.3907
```

=====

# Mg2BeMoO6
Theoretical powder diffraction line list, Cu Kα. Input: a structure optimized by DFT (PBE+U).
Kinematic intensities with the Lorentz-polarization factor, no thermal factor.

Crystal structure
```
data_Mg2BeMoO6
_symmetry_space_group_name_H-M 'P 4 m m'
_symmetry_Int_Tables_number 99
_symmetry_space_group_name_Hall 'P 4 -2'
_cell_length_a 4.962
_cell_length_b 4.962
_cell_length_c 4.698
_cell_angle_alpha 90.00
_cell_angle_beta 90.00
_cell_angle_gamma 90.00
loop_
_atom_site_label
_atom_site_type_symbol
_atom_site_fract_x
_atom_site_fract_y
_atom_site_fract_z
Mg1 Mg 0.000 0.500 0.000
Be1 Be 0.000 0.000 0.590
Mo1 Mo 0.500 0.500 0.619
O1 O 0.000 0.000 0.265
O2 O 0.246 0.246 0.755
O3 O 0.500 0.500 0.236
```

Top 10 peaks for 2θ = 10–90°, most intense first:
| Position (°2θ) | d [Å] | I (rel.) |
| --- | --- | --- |
| 31.83 | 2.811 | 100 |
| 17.88 | 4.962 | 92 |
| 26.12 | 3.412 | 72 |
| 18.89 | 4.698 | 62 |
| 25.38 | 3.509 | 39 |
| 52.13 | 1.754 | 39 |
| 45.19 | 2.007 | 34 |
| 36.20 | 2.481 | 29 |
| 46.52 | 1.952 | 29 |
| 62.39 | 1.488 | 28 |

=====

For ZrCrCuS4, a DFT-relaxed cell (PBE, the Materials Project) gives the theoretical X-ray powder pattern in this record (Cu Kα (λ = 1.5418 Å)).

Peak list (12 most intense, 10° ≤ 2θ ≤ 90°, low angle first)